**Given:**
Record 1
# TbSmGa2Pt2 (PBE, relaxed)
# * formation energy: -1.05 eV/atom
# * N(E_F): 0.5909 states/eV/atom
# * electronic total energy: -5.633 eV per atom
# * space group: P-3m1, No. 164
data_TbSmGa2Pt2
_cell_length_a 4.4796
_cell_length_b 4.4796
_cell_length_c 7.1148
_cell_angle_alpha 90.00
_cell_angle_beta 90.00
_cell_angle_gamma 120.00
_space_group_name_H-M_alt 'P 1'
_space_group_IT_number 1
loop_
_space_group_symop_operation_xyz
'x,y,z'
loop_
_atom_site_label
_atom_site_fract_x
_atom_site_fract_y
_atom_site_fract_z
Tb1 0.0000 0.0000 0.0000
Sm1 0.0000 0.0000 0.5000
Ga1 0.3333 0.6667 0.7603
Ga2 0.6667 0.3333 0.2397
Pt1 0.3333 0.6667 0.2390
Pt2 0.6667 0.3333 0.7610

Record 2
# Sc2HgS (PBE, relaxed)
# * N(E_F): 0.4002 states/eV/atom
# * distance to the lowest polymorph of the same formula: 0.6749 eV per atom
# * electronic total energy: -4.736 eV per atom
# * space group: R-3m, No. 166
data_Sc2HgS
_cell_length_a 8.5379
_cell_length_b 8.5379
_cell_length_c 8.5379
_cell_angle_alpha 26.80
_cell_angle_beta 26.80
_cell_angle_gamma 26.80
_space_group_name_H-M_alt 'P 1'
_space_group_IT_number 1
loop_
_space_group_symop_operation_xyz
'x,y,z'
loop_
_atom_site_label
_atom_site_fract_x
_atom_site_fract_y
_atom_site_fract_z
Sc1 0.0945 0.0945 0.0945
Sc2 0.9055 0.9055 0.9055
Hg1 0.5000 0.5000 0.5000
S1 0.0000 0.0000 0.0000

Record 3
# La8HgPb2 (PBE, relaxed)
# * formation energy: -0.27 eV/atom
# * N(E_F): 1.3772 states/eV/atom
# * electronic total energy: -4.552 eV per atom
# * space group: Immm, No. 71
data_La8HgPb2
_cell_length_a 9.2743
_cell_length_b 9.2743
_cell_length_c 9.2743
_cell_angle_alpha 147.61
_cell_angle_beta 118.32
_cell_angle_gamma 71.41
_space_group_name_H-M_alt 'P 1'
_space_group_IT_number 1
loop_
_space_group_symop_operation_xyz
'x,y,z'
loop_
_atom_site_label
_atom_site_fract_x
_atom_site_fract_y
_atom_site_fract_z
La1 0.1167 0.3421 0.7746
La2 0.1444 0.1444 0.0000
La3 0.3176 0.0000 0.3176
La4 0.4325 0.6579 0.7746
La5 0.5675 0.3421 0.2254
La6 0.6824 0.0000 0.6824
La7 0.8556 0.8556 0.0000
La8 0.8833 0.6579 0.2254
Hg1 0.0000 0.5000 0.5000
Pb1 0.3037 0.8037 0.5000
Pb2 0.6963 0.1963 0.5000

Record 4
# ZrBr2O (PBE, relaxed)
# * N(E_F): 0.0054 states/eV/atom
# * electronic total energy: -4.686 eV per atom
# * space group: Fm-3m, No. 225
data_ZrBr2O
_cell_length_a 4.6424
_cell_length_b 4.6424
_cell_length_c 4.6424
_cell_angle_alpha 60.00
_cell_angle_beta 60.00
_cell_angle_gamma 60.00
_space_group_name_H-M_alt 'P 1'
_space_group_IT_number 1
loop_
_space_group_symop_operation_xyz
'x,y,z'
loop_
_atom_site_label
_atom_site_fract_x
_atom_site_fract_y
_atom_site_fract_z
Zr1 0.0000 0.0000 0.0000
Br1 0.2500 0.2500 0.2500
Br2 0.7500 0.7500 0.7500
O1 0.5000 0.5000 0.5000

Record 5
# Tb7PS5 (PBE, relaxed)
# * N(E_F): 0.4357 states/eV/atom
# * electronic total energy: -6.273 eV per atom
# * space group: Cm, No. 8
data_Tb7PS5
_cell_length_a 6.7186
_cell_length_b 6.7186
_cell_length_c 23.4513
_cell_angle_alpha 91.82
_cell_angle_beta 91.82
_cell_angle_gamma 33.51
_space_group_name_H-M_alt 'P 1'
_space_group_IT_number 1
loop_
_space_group_symop_operation_xyz
'x,y,z'
loop_
_atom_site_label
_atom_site_fract_x
_atom_site_fract_y
_atom_site_fract_z
Tb1 0.0000 0.0000 0.0000
Tb2 0.0080 0.0080 0.5748
Tb3 0.1037 0.1037 0.2854
Tb4 0.1799 0.1799 0.7895
Tb5 0.2752 0.2752 0.5002
Tb6 0.2845 0.2845 0.0750
Tb7 0.4402 0.4402 0.8569
Tb8 0.4565 0.4565 0.7150
Tb9 0.5442 0.5442 0.4221
Tb10 0.5647 0.5647 0.1445
Tb11 0.7198 0.7198 0.9303
Tb12 0.7391 0.7391 0.6529
Tb13 0.8268 0.8268 0.3600
Tb14 0.8439 0.8439 0.2181
P1 0.4485 0.4485 0.3049
P2 0.8351 0.8351 0.7703
S1 0.0806 0.0806 0.8931
S2 0.0985 0.0985 0.6816
S3 0.1848 0.1848 0.3934
S4 0.2036 0.2036 0.1819
S5 0.3621 0.3621 0.9651
S6 0.3686 0.3686 0.6084
S7 0.6423 0.6423 0.0374
S8 0.6416 0.6416 0.5375
S9 0.9147 0.9147 0.4666
S10 0.9223 0.9223 0.1099

Record 6
# Ho3ErPd4 (PBE, relaxed)
# * formation energy: -0.91 eV/atom
# * N(E_F): 0.4290 states/eV/atom

**Wanted:**
Could you give back every line above that contains the word "data_Sc2HgS"?

**Worked solution:**
data_Sc2HgS